[What to do]
Write out all of the entries further down word for word.

[Input]
/*
(1)
# GGA-PBE Dy4AgSe5, optimized geometry
# D(E_F), states/eV per atom: 0.366
# Magnetization, μB per cell: 0.00
# Formation energy (no corrections), eV/f.u.: -14.3
data_Dy4AgSe5
_symmetry_space_group_name_H-M 'C 1 2/m 1'
_symmetry_Int_Tables_number 12
_cell_length_a 17.8904
_cell_length_b 4.0316
_cell_length_c 8.9718
_cell_angle_alpha 90.00
_cell_angle_beta 107.05
_cell_angle_gamma 90.00
loop_
_symmetry_equiv_pos_as_xyz
'x,y,z'
'-x,-y,-z'
'-x,y,-z'
'x,-y,z'
'x+1/2,y+1/2,z'
'-x+1/2,-y+1/2,-z'
'-x+1/2,y+1/2,-z'
'x+1/2,-y+1/2,z'
loop_
_atom_site_label
_atom_site_type_symbol
_atom_site_fract_x
_atom_site_fract_y
_atom_site_fract_z
Dy1 Dy 0.0033 0.0000 0.2807
Dy2 Dy 0.1816 0.5000 0.1107
Ag1 Ag 0.0000 0.5000 0.0000
Se1 Se 0.0000 0.5000 0.5000
Se2 Se 0.1602 0.0000 0.3090
Se3 Se 0.1596 0.0000 0.8690

(2)
# GGA-PBE VB3Sb, optimized geometry
# D(E_F), states/eV per atom: 1.526
# Magnetization, μB per cell: 3.04
# Polymorph energy (0 for the lowest one), meV/atom: 1121
# Formation energy (no corrections), eV/f.u.: 11.8
data_VB3Sb
_symmetry_space_group_name_H-M 'P m -3 m'
_symmetry_Int_Tables_number 221
_symmetry_space_group_name_Hall '-P 4 2 3'
_cell_length_a 4.4033
_cell_length_b 4.4033
_cell_length_c 4.4033
_cell_angle_alpha 90.00
_cell_angle_beta 90.00
_cell_angle_gamma 90.00
loop_
_atom_site_label
_atom_site_type_symbol
_atom_site_fract_x
_atom_site_fract_y
_atom_site_fract_z
V1 V 0.0000 0.0000 0.0000
B1 B 0.0000 0.5000 0.5000
Sb1 Sb 0.5000 0.5000 0.5000

* * * * *

A plane-wave DFT calculation with PBE was carried out for a relaxed TaMnNi2H crystal.

Properties
relative energy among the computed polymorphs = 0 meV per atom
magnetic moment = 0.9 μB/f.u.
VASP energy = -7.342 eV per atom
space group = No. 123

Unit cell a=3.6390 b=3.6390 c=3.9118 alpha=90.00 beta=90.00 gamma=90.00
Site moments in Bohr magnetons follow the coordinates.
Element x y z (fractional)
1 Ni 0.0000 0.5000 0.0000  0.02
2 Ni 0.5000 0.0000 0.0000  0.02
3 Mn 0.0000 0.0000 0.5000  1.19
4 H 0.0000 0.0000 0.0000  -0.01
5 Ta 0.5000 0.5000 0.5000  -0.27
*/

[Done]
(1)
# GGA-PBE Dy4AgSe5, optimized geometry
# D(E_F), states/eV per atom: 0.366
# Magnetization, μB per cell: 0.00
# Formation energy (no corrections), eV/f.u.: -14.3
data_Dy4AgSe5
_symmetry_space_group_name_H-M 'C 1 2/m 1'
_symmetry_Int_Tables_number 12
_cell_length_a 17.8904
_cell_length_b 4.0316
_cell_length_c 8.9718
_cell_angle_alpha 90.00
_cell_angle_beta 107.05
_cell_angle_gamma 90.00
loop_
_symmetry_equiv_pos_as_xyz
'x,y,z'
'-x,-y,-z'
'-x,y,-z'
'x,-y,z'
'x+1/2,y+1/2,z'
'-x+1/2,-y+1/2,-z'
'-x+1/2,y+1/2,-z'
'x+1/2,-y+1/2,z'
loop_
_atom_site_label
_atom_site_type_symbol
_atom_site_fract_x
_atom_site_fract_y
_atom_site_fract_z
Dy1 Dy 0.0033 0.0000 0.2807
Dy2 Dy 0.1816 0.5000 0.1107
Ag1 Ag 0.0000 0.5000 0.0000
Se1 Se 0.0000 0.5000 0.5000
Se2 Se 0.1602 0.0000 0.3090
Se3 Se 0.1596 0.0000 0.8690

(2)
# GGA-PBE VB3Sb, optimized geometry
# D(E_F), states/eV per atom: 1.526
# Magnetization, μB per cell: 3.04
# Polymorph energy (0 for the lowest one), meV/atom: 1121
# Formation energy (no corrections), eV/f.u.: 11.8
data_VB3Sb
_symmetry_space_group_name_H-M 'P m -3 m'
_symmetry_Int_Tables_number 221
_symmetry_space_group_name_Hall '-P 4 2 3'
_cell_length_a 4.4033
_cell_length_b 4.4033
_cell_length_c 4.4033
_cell_angle_alpha 90.00
_cell_angle_beta 90.00
_cell_angle_gamma 90.00
loop_
_atom_site_label
_atom_site_type_symbol
_atom_site_fract_x
_atom_site_fract_y
_atom_site_fract_z
V1 V 0.0000 0.0000 0.0000
B1 B 0.0000 0.5000 0.5000
Sb1 Sb 0.5000 0.5000 0.5000

* * * * *

A plane-wave DFT calculation with PBE was carried out for a relaxed TaMnNi2H crystal.

Properties
relative energy among the computed polymorphs = 0 meV per atom
magnetic moment = 0.9 μB/f.u.
VASP energy = -7.342 eV per atom
space group = No. 123

Unit cell a=3.6390 b=3.6390 c=3.9118 alpha=90.00 beta=90.00 gamma=90.00
Site moments in Bohr magnetons follow the coordinates.
Element x y z (fractional)
1 Ni 0.0000 0.5000 0.0000  0.02
2 Ni 0.5000 0.0000 0.0000  0.02
3 Mn 0.0000 0.0000 0.5000  1.19
4 H 0.0000 0.0000 0.0000  -0.01
5 Ta 0.5000 0.5000 0.5000  -0.27